## Given
- - -
Record 1
An isolated molecule of C4H6O in a non-equilibrium geometry. Source: OMol25; level of theory: ωB97M-V/def2-TZVPD.

ΔE to the lowest compared entry with this formula, charge and spin in kcal per mole: 64.1

Each atom is followed by the atoms it is bonded to, with distances in Å.
Atoms and positions in Å:
1 C 0.270 0.219 0.964  C2 1.397, C5 1.471, H6 1.191
2 C -0.033 -1.030 0.416  C1 1.397, C3 1.406, H7 0.993
3 C -0.518 -0.767 -0.877  C2 1.406, O4 1.466, H8 1.105, H9 1.178
4 O -0.029 0.587 -1.159  C3 1.466, C5 1.311
5 C 0.467 1.202 -0.113  C1 1.471, O4 1.311, H10 1.115, H11 1.073
6 H 0.346 0.661 2.067  C1 1.191
7 H -0.008 -1.860 0.960  C2 0.993
8 H -1.602 -0.965 -0.804  C3 1.105
9 H -0.288 -1.663 -1.605  C3 1.178
10 H 1.456 1.676 -0.310  C5 1.115
11 H -0.062 1.939 0.460  C5 1.073

Charges obtained by natural (NBO) population analysis, quoted in units of e: -0.176, -0.249, -0.097, -0.499, -0.110, 0.211, 0.215, 0.183, 0.185, 0.177, 0.160

---

Record 2
An isolated molecule of C4H6O in a non-equilibrium geometry. Source: OMol25; level of theory: ωB97M-V/def2-TZVPD.

ΔE to the lowest compared entry with this formula, charge and spin in kcal per mole: 27.6

Each atom is followed by the atoms it is bonded to, with distances in Å.
Atoms and positions in Å:
1 C -2.090 0.253 0.151  C2 1.478, H6 1.114, H7 1.090
2 C -0.877 -0.368 -0.422  C1 1.478, C3 1.511, H8 1.101
3 C 0.355 0.479 -0.200  C2 1.511, C4 1.541, O5 1.194
4 C 1.672 -0.255 0.116  C3 1.541, H9 1.110, H10 1.178, H11 1.207
5 O 0.414 1.672 -0.200  C3 1.194
6 H -2.038 1.328 0.438  C1 1.114
7 H -3.035 -0.287 0.198  C1 1.090
8 H -0.612 -1.417 -0.629  C2 1.101
9 H 2.247 0.328 0.865  C4 1.110
10 H 2.302 -0.354 -0.874  C4 1.178
11 H 1.661 -1.380 0.556  C4 1.207

Charges obtained by natural (NBO) population analysis, quoted in units of e: -0.293, -0.318, 0.531, -0.731, -0.541, 0.226, 0.203, 0.224, 0.243, 0.241, 0.215

---

Record 3
An isolated molecule of C4H6O in a non-equilibrium geometry. Source: OMol25; level of theory: ωB97M-V/def2-TZVPD.

ΔE to the lowest compared entry with this formula, charge and spin in kcal per mole: 21.4

Each atom is followed by the atoms it is bonded to, with distances in Å.
Atoms and positions in Å:
1 O -2.725 0.114 -0.161  C2 1.252
2 C -1.576 -0.175 0.244  O1 1.252, C3 1.510, H6 1.104
3 C -0.277 0.017 -0.500  C2 1.510, C4 1.479, C5 1.526, H7 1.121
4 C 0.933 -0.732 -0.100  C3 1.479, C5 1.533, H8 1.065, H9 1.026
5 C 0.872 0.778 0.154  C3 1.526, C4 1.533, H10 1.140, H11 1.091
6 H -1.396 -0.557 1.265  C2 1.104
7 H -0.502 0.240 -1.575  C3 1.121
8 H 1.692 -0.992 -0.801  C4 1.065
9 H 0.837 -1.334 0.726  C4 1.026
10 H 0.916 1.069 1.255  C5 1.140
11 H 1.226 1.572 -0.507  C5 1.091

Charges obtained by natural (NBO) population analysis, quoted in units of e: -0.527, 0.442, -0.344, -0.399, -0.411, 0.100, 0.240, 0.228, 0.215, 0.222, 0.234

---

Record 4
An isolated molecule of C4H6O in a non-equilibrium geometry. Source: OMol25; level of theory: ωB97M-V/def2-TZVPD.

ΔE to the lowest compared entry with this formula, charge and spin in kcal per mole: 64.5

Each atom is followed by the atoms it is bonded to, with distances in Å.
Atoms and positions in Å:
1 C -1.693 -1.516 1.809  C2 1.264, H6 1.088
2 C -1.053 -0.708 1.078  C1 1.264, C3 1.399
3 C -0.461 -0.139 -0.055  C2 1.399, O4 1.408, H7 1.070, H8 1.125
4 O 0.652 0.609 0.373  C3 1.408, C5 1.465
5 C 1.329 1.017 -0.860  O4 1.465, H9 1.185, H10 1.057, H11 1.112
6 H -2.157 -2.216 2.500  C1 1.088
7 H -0.191 -0.899 -0.759  C3 1.070
8 H -1.275 0.435 -0.579  C3 1.125
9 H 1.754 0.083 -1.453  C5 1.185
10 H 2.190 1.533 -0.529  C5 1.057
11 H 0.905 1.801 -1.524  C5 1.112

Charges obtained by natural (NBO) population analysis, quoted in units of e: -0.227, -0.014, -0.165, -0.503, -0.286, 0.246, 0.198, 0.194, 0.175, 0.196, 0.187

---

Record 5
A cluster of 2 separate species, C4H6O in total. Source: OMol25; level of theory: ωB97M-V/def2-TZVPD.
- - -

## To do
Please find the line further up that holds "1.478, H6", then copy that line and all lines after it there.

## Done
1 C -2.090 0.253 0.151  C2 1.478, H6 1.114, H7 1.090
2 C -0.877 -0.368 -0.422  C1 1.478, C3 1.511, H8 1.101
3 C 0.355 0.479 -0.200  C2 1.511, C4 1.541, O5 1.194
4 C 1.672 -0.255 0.116  C3 1.541, H9 1.110, H10 1.178, H11 1.207
5 O 0.414 1.672 -0.200  C3 1.194
6 H -2.038 1.328 0.438  C1 1.114
7 H -3.035 -0.287 0.198  C1 1.090
8 H -0.612 -1.417 -0.629  C2 1.101
9 H 2.247 0.328 0.865  C4 1.110
10 H 2.302 -0.354 -0.874  C4 1.178
11 H 1.661 -1.380 0.556  C4 1.207

Charges obtained by natural (NBO) population analysis, quoted in units of e: -0.293, -0.318, 0.531, -0.731, -0.541, 0.226, 0.203, 0.224, 0.243, 0.241, 0.215

---

Record 3
An isolated molecule of C4H6O in a non-equilibrium geometry. Source: OMol25; level of theory: ωB97M-V/def2-TZVPD.

ΔE to the lowest compared entry with this formula, charge and spin in kcal per mole: 21.4

Each atom is followed by the atoms it is bonded to, with distances in Å.
Atoms and positions in Å:
1 O -2.725 0.114 -0.161  C2 1.252
2 C -1.576 -0.175 0.244  O1 1.252, C3 1.510, H6 1.104
3 C -0.277 0.017 -0.500  C2 1.510, C4 1.479, C5 1.526, H7 1.121
4 C 0.933 -0.732 -0.100  C3 1.479, C5 1.533, H8 1.065, H9 1.026
5 C 0.872 0.778 0.154  C3 1.526, C4 1.533, H10 1.140, H11 1.091
6 H -1.396 -0.557 1.265  C2 1.104
7 H -0.502 0.240 -1.575  C3 1.121
8 H 1.692 -0.992 -0.801  C4 1.065
9 H 0.837 -1.334 0.726  C4 1.026
10 H 0.916 1.069 1.255  C5 1.140
11 H 1.226 1.572 -0.507  C5 1.091

Charges obtained by natural (NBO) population analysis, quoted in units of e: -0.527, 0.442, -0.344, -0.399, -0.411, 0.100, 0.240, 0.228, 0.215, 0.222, 0.234

---

Record 4
An isolated molecule of C4H6O in a non-equilibrium geometry. Source: OMol25; level of theory: ωB97M-V/def2-TZVPD.

ΔE to the lowest compared entry with this formula, charge and spin in kcal per mole: 64.5

Each atom is followed by the atoms it is bonded to, with distances in Å.
Atoms and positions in Å:
1 C -1.693 -1.516 1.809  C2 1.264, H6 1.088
2 C -1.053 -0.708 1.078  C1 1.264, C3 1.399
3 C -0.461 -0.139 -0.055  C2 1.399, O4 1.408, H7 1.070, H8 1.125
4 O 0.652 0.609 0.373  C3 1.408, C5 1.465
5 C 1.329 1.017 -0.860  O4 1.465, H9 1.185, H10 1.057, H11 1.112
6 H -2.157 -2.216 2.500  C1 1.088
7 H -0.191 -0.899 -0.759  C3 1.070
8 H -1.275 0.435 -0.579  C3 1.125
9 H 1.754 0.083 -1.453  C5 1.185
10 H 2.190 1.533 -0.529  C5 1.057
11 H 0.905 1.801 -1.524  C5 1.112

Charges obtained by natural (NBO) population analysis, quoted in units of e: -0.227, -0.014, -0.165, -0.503, -0.286, 0.246, 0.198, 0.194, 0.175, 0.196, 0.187

---

Record 5
A cluster of 2 separate species, C4H6O in total. Source: OMol25; level of theory: ωB97M-V/def2-TZVPD.